Lasers could help biotag cancer cells

-- Someone pasted crystal structures at this point --
<<<
Below is crystalline ZrNbS2 at its relaxed geometry, with properties calculated at the PBE level.

Computed properties:
- SG = Pnma
- offset from the most stable computed form (meV per atom) = 0.0
- DOS(E_F) (states/eV per cell) = 13.4
- crystal system = orthorhombic
- E_form (uncorrected) (eV/atom) = -1.097

extended XYZ file:
```
16
Lattice="-2.536 0.391 -2.200 1.897 -4.579 -3.001 -8.558 -8.964 8.270" Properties=species:S:1:pos:R:3 pbc="T T T"
Zr -7.650 -10.014 5.738
Zr -1.548 -3.138 -2.668
Zr -3.911 -9.381 1.541
Zr -5.287 -3.771 1.529
Nb -5.825 -7.957 4.000
Nb -3.373 -5.195 -0.931
Nb -5.820 -11.235 3.412
Nb -3.377 -1.917 -0.342
S -0.829 -5.174 -1.263
S -8.368 -7.979 4.333
S -2.739 -3.891 1.167
S -6.459 -9.261 1.903
S -2.868 -7.096 0.745
S -6.330 -6.057 2.325
S -0.824 -1.672 -0.646
S -8.374 -11.480 3.716
```

~~~~~

# YBrCl2

YBrCl2 at its PBEsol-relaxed geometry (meta-GGA SCAN, Alexandria via LeMat-Bulk).

DOS(E_F): 0.000 states/eV/cell
relative energy among the computed polymorphs: 582 meV/atom
final energy: -70.34 eV per formula unit
calculated volume: 20.96 Å³ per atom
formation energy from raw total energies: -1.77 eV/atom

a b c (Å): 4.5246 5.1971 4.5246
angles (deg): 115.80 90.00 115.80
With the nearest neighbours (Å) after each atom.
Positions (direct):
Y 0.5000 0.0000 0.5000  8 Cl 3.05, 4 Br 3.20
Br 0.0000 0.0000 0.0000  8 Cl 3.05, 4 Y 3.20
Cl 0.7500 0.5000 0.2500  4 Br 3.05, 4 Y 3.05, 4 Cl 3.20
Cl 0.2500 0.5000 0.7500  4 Y 3.05, 4 Br 3.05, 4 Cl 3.20
>>>

A breakthrough laser technology can discriminate between cancerous prostate cells and healthy bodily fluids, and ultimately help predict when cancer will metastasize.

Elizabeth Armstrong Moore
Elizabeth Armstrong Moore is based in Portland, Oregon, and has written for Wired, The Christian Science Monitor, and public radio. Her semi-obscure hobbies include climbing, billiards, board games that take up a lot of space, and piano.
Elizabeth Armstrong Moore
2 min read

Researchers at UC Santa Barbara are introducing a novel technique using a form of laser spectroscopy and biotags that help discriminate between cancerous and healthy cells.

Cancerous and non-cancerous cells are incubated with silver nanoparticle biotags and then observed by shining a red laser on them. Gary Braun and Peter Allen/UCSB

While the tech is likely years away from clinical trials, the team hopes it will eventually lead to a microdevice that can predict when prostate cancer will metastasize--which is key, given it is the metastasis throughout the body, not the primary tumor, that kills prostate cancer patients.

"The delay is not well understood," says Gary Braun, biologist and second author of the paper that appears this week in the Proceedings of the National Academy of Sciences. "There is a big focus on understanding what causes the tumor to shed cells into the blood. If you could catch them all, then you could stop metastasis. The first thing is to monitor their appearance."

_Unrelated to this text: records of crystals_
[1]
DFT (meta-GGA SCAN) results for a PBEsol-optimized structure of CaAg3.

The structure in CIF format:
```
data_CaAg3
_cell_length_a 4.8798
_cell_length_b 6.0074
_cell_length_c 5.3346
_cell_angle_alpha 90.00
_cell_angle_beta 90.00
_cell_angle_gamma 90.00
_space_group_name_H-M_alt 'P 1'
_space_group_IT_number 1
loop_
_space_group_symop_operation_xyz
'x,y,z'
loop_
_atom_site_label
_atom_site_type_symbol
_atom_site_fract_x
_atom_site_fract_y
_atom_site_fract_z
Ca1 Ca 0.2500 0.2500 0.1511
Ca2 Ca 0.7500 0.7500 0.8489
Ag1 Ag 0.2500 0.0021 0.6567
Ag2 Ag 0.2500 0.4979 0.6567
Ag3 Ag 0.2500 0.7500 0.2041
Ag4 Ag 0.7500 0.2500 0.7959
Ag5 Ag 0.7500 0.5021 0.3433
Ag6 Ag 0.7500 0.9979 0.3433
```



[2]
DFT (meta-GGA SCAN) results for a PBEsol-optimized structure of CaAg2.

The structure in CIF format:
```
data_CaAg2
_cell_length_a 5.5318
_cell_length_b 5.5318
_cell_length_c 5.7919
_cell_angle_alpha 90.00
_cell_angle_beta 90.00
_cell_angle_gamma 132.26
_space_group_name_H-M_alt 'P 1'
_space_group_IT_number 1
loop_
_space_group_symop_operation_xyz
'x,y,z'
loop_
_atom_site_label
_atom_site_type_symbol
_atom_site_fract_x
_atom_site_fract_y
_atom_site_fract_z
Ca1 Ca 0.2050 0.7950 0.7500
Ca2 Ca 0.7950 0.2050 0.2500
Ag1 Ag 0.0872 0.9128 0.2500
Ag2 Ag 0.5000 0.5000 0.0000
Ag3 Ag 0.5000 0.5000 0.5000
Ag4 Ag 0.9128 0.0872 0.7500
```



[3]
DFT (meta-GGA SCAN) results for a PBEsol-optimized structure of CaAg.

The structure in CIF format:
```
data_CaAg
_cell_length_a 3.6361
_cell_length_b 3.6361
_cell_length_c 7.7648
_cell_angle_alpha 90.00
_cell_angle_beta 90.00
_cell_angle_gamma 90.00
_space_group_name_H-M_alt 'P 1'
_space_group_IT_number 1
loop_
_space_group_symop_operation_xyz
'x,y,z'
loop_
_atom_site_label
_atom_site_type_symbol
_atom_site_fract_x
_atom_site_fract_y
_atom_site_fract_z
Ca1 Ca 0.2500 0.2500 0.1914
Ca2 Ca 0.7500 0.7500 0.8086
Ag1 Ag 0.2500 0.2500 0.5838
Ag2 Ag 0.7500 0.7500 0.4162
```



[4]
DFT (meta-GGA SCAN) results for a PBEsol-optimized structure of CaCdAg2.

The structure in CIF format:
```
data_CaCdAg2
_cell_length_a 3.3917
_cell_length_b 3.6462
_cell_length_c 6.7265
_cell_angle_alpha 90.00
_cell_angle_beta 90.00
_cell_angle_gamma 90.00
_space_group_name_H-M_alt 'P 1'
_space_group_IT_number 1
loop_
_space_group_symop_operation_xyz
'x,y,z'
loop_
_atom_site_label
_atom_site_type_symbol
_atom_site_fract_x
_atom_site_fract_y
_atom_site_fract_z
Ca1 Ca 0.0000 0.0000 0.0000
Cd1 Cd 0.0000 0.0000 0.5000
Ag1 Ag 0.5000 0.5000 0.2805
Ag2 Ag 0.5000 0.5000 0.7195
```



[5]
DFT (meta-GGA SCAN) results for a PBEsol-optimized structure of CaCd2Ag2.

The structure in CIF format:
```
data_CaCd2Ag2
_cell_length_a 7.0399
_cell_length_b 7.0399
_cell_length_c 7.0399
_cell_angle_alpha 145.45
_cell_angle_beta 145.45
_cell_angle_gamma 49.66
_space_group_name_H-M_alt 'P 1'
_space_group_IT_number 1
loop_
_space_group_symop_operation_xyz
'x,y,z'
loop_
_atom_site_label
_atom_site_type_symbol
_atom_site_fract_x
_atom_site_fract_y
_atom_site_fract_z
_The text goes on_

The team is employing silver nanoparticles to biotag cancerous cells and then observe them using a laser technique called surface enhanced Raman spectroscopy. "Silver nanoparticles emit a rich set of colors when they absorb the laser light," Braun says. "This new technology could be more powerful than fluorescence."

What makes their approach a breakthrough is that by including more markers they are able to identify (and observe) unique tumor cells that are actually different than the main ones, so they can observe changes early on that indicate future metastasis.

"These different cells must be strong enough to start a new tumor, or they must develop changes that allow them to colonize in other areas of the body," says first author Alessia Pallaoro, a post-doc fellow at UCSB's Department of Chemistry and Biochemistry. "Some changes must be on the surface, which is what we are trying to detect."

Pallaoro adds that as they find new biomarkers, this technique can actually be expanded by adding more colors. And by developing a microdevice, they might be able to not only diagnose prostate cancer, but predict metastasis as well.